

Catherine L. Hofmann moved to Orange County in the early 1950's and found no liberal church to attend. She was a minister's daughter. She enlisted the help of Dr. Charles Blauvelt, the Universalist pastor in Pasadena. Together, they made a list of people in the area who had received Universalist mailings, and invited them to meet on Sunday mornings.

They came.

In 1953, the group was too big for her living room. A meeting was called in February at an American Legion Hall to consider the official founding of a Universalist Fellowship. The Legion Hall, shared with a Lutheran congregation, became the Fellowship's home. Rev. G. Douglas Frazier, Minister-at-Large of the California Universalist Association, worked with the group that year, and in the spring a Religious Education program began for all children. In November, an official minister was hired, Dr. Frederick W. Ringe, with his wife, Bess, who served as Music Director. In nearby Santa Ana, a group of Unitarians were trying to establish a church, with a group of women called the Women's Liberal Religious Alliance. Some of those families began to attend the Universalist meetings. Money for a building fund began to be accumulated, and in 1954, the Women's Liberal Religious Alliance contributed their $600 treasury to the project.

orange coast church history

The building at 1259 Victoria Street

A handsome hilltop site in Costa Mesa was selected. The building was designed by James Webb, a member of the group. The unconventional shape drew much local attention. While the church was being built, the congregation met for a time at the Balboa Bay Club in Newport Beach. The first meeting in the new building was held on Sunday, March 6, 1960. The presiding minister was Rev. Charles Blauvelt, now retired and a new resident in the Newport area. He urged everyone to bring coats, as the interior was far from finished. Many brought their own folding chairs.

That year, in Boston, the decision was made to combine the Unitarians and the Universalists.

Charles Clare Blauvelt

This church voted to exercise its option, and retain the name of The Universalist Community Fellowship. A family named Willits gifted the church with a Steinway grand piano. In 1962, a Mrs. Montangue formed a Children's Choir to perform at Easter and Christmas. A Women's Alliance was formed, and purchased handsome new light fixtures for the Sanctuary. The 1960 records show 87 members, 57 "friends", and 105 children.

In 1965 The Rev. Roger T. Walke accepted the ministry of what was still called the Universalist Community Fellowship, although more often, the connected name Unitarian Universalist Church was being used. He organized a drive to buy new hymnals in 1966, and approved changing the name of the lively church newsletter to "The Reach". Rev. Walke resigned in 1971, and the group continued as a Fellowship.

Swinging in its circle behind the pulpit, the hanging chalice was created by artist Frank Hassett
Swinging in its circle behind the pulpit, the hanging chalice was created by artist Frank Hassett

Rev. Arthur W. Olsen of the Minister-at-Large program served as a special Interim Minister to the church in 1972. He organized a fruitful fundraising drive, and guided the search for a new minister. Rev. Robert Jordan Ross was hired in 1972, and led the church through a period of vigorous growth. A new member, Ms. Mieque Weinstein, was asked to establish a music program. Rev. Chris Schriner joined the staff as Minister of Counseling.

orange coast church history 1977

Some welcome decorating was done by members of the Women's Group. The lobby, the minister's office, the kitchen and bathrooms were redone. New chairs were purchased for the sanctuary.

When Rev. Ross resigned in 1979, the Interim Minister was Rev. Josiah Bartlett , whose name is remembered by the Bartlett Patio, the outdoor gathering spot on the shady North side which he personally helped to create. Built on the "shady side" of the church during Rev. Josiah Bartlett's tenure, this pleasant space houses the coffee hour, receptions, teas and parties. In 2000, the patio was enlarged with new landscaping and the name changed to the Bartlett-Daniels patio in honor of a generous donation.

Bartlett Patio
Bartlett-Daniels Patio
Tracy Boag Building and Memorial Patio
Tracy Boag Building and Memorial Patio


Joan Gillan Building
Joan Gillan Building

Tracy Boag was the 16-year-old daughter of long time members Wally and Ellen Boag. She had attended Church School, and been a Kindergarten teacher. She died in 1963 after a long and painful illness. Her parents established the Tracy Boag fund in her memory, and many "show business" friends contributed. Wally performed at Disneyland for many years in the "Golden Horseshoe Revue", and produced several benefit performances for the church. The four-room Tracy Boag building bears a plaque in Tracy's name. The Joan Gillan Religious Education Building was named for long-time leader of the R.E. department, and the building was a gift in her memory by the Gillan family. This building, built in 1989, provides three classrooms and space for a variety of meetings.


In 1980 the church welcomed Rev. Eileen Karpeles to what was now officially the Orange Coast Unitarian Universalist Church. Rev. James Nelson became our Minister in 1984. During his years at OCUUC, Rev. Nelson instigated the first major changes to the main church building. The lobby, two offices, the balcony and its storage areas were removed. Seating was rearranged, enlarging the capacity of the sanctuary. In 1989, work began on new kitchen and bathroom facilities, more storage areas and landscaping.

The Peace Pole, installed in the mid 1980's
Orange Coast Unitarian Universalist Church

Rev. James Nelson was called to serve the UU congregation in Fairfax, Virginia in 1993. Interim Minister Rev. Branford Lovely, retiring pastor of the Neighborhood Church in Pasadena, started later in 1993. In 1994 the congregation called Rev. Diana D. Heath. Ms. Heath resigned early in 1996. The Interim Minister that summer was Rev. Leslie Heyboer.

Two small patios on the South side of the church were built during the extensive landscaping in the 90's. The Davia family provided the stonework for the former "Choir" patio. The fencing and landscaping were the gift of Lee and Carol Agon. The Chalice patio with its stonework outline, is the gift and work of a longtime member and groundskeeper, Don Skinner.

Skinner Patio
The Skinner Patio
Rev. Dr. Karen Stoyanoff
Rev. Dr. Karen Stoyanoff

In 1998, the congregation called the Rev. Dr. Karen Stoyanoff to the OCUUC pulpit. Several major changes took place in the church in 2000, including expansion of the Sanctuary seating, a permanent Choir Loft, new decor and furnishings, painting and improvements to the exterior and the patio areas. Rev. Karen retired in the summer of 2011. The congregation of Orange Coast UU Church voted to grant Rev. Karen Minister Emerita status for her dedicated and competent ministerial leadership.

Rev. Ed Brock

Interim Minister Reverend Ed Brock started in September 2011. In April 2013 OCUUC voted to call Reverend Sian Wiltshire as the next settled minister beginning in the summer of 2013.

Swinging in its circle behind the pulpit, the hanging chalice was created by artist Frank Hassett


2012: Finding a New Property

On February 1, 2012 the Board of Trustees held a special meeting to discuss a possible sale and purchase of buildings in order to move Orange Coast UU Church.

The president at the time, Mary Lundholm, presented the facts to the congregation:

Currently, we have a meager 6,000 sq ft. The proposed property has 20,000 square feet In addition, we would not be only dependent upon our own funds: the new property comes with rental income!

When Karen Stoyanoff was called to be our minister, the settled search packet stated, “On-site parking is insufficient, but off-site parking is available nearby.” We still have this same issue and the off-site parking lease is unreliable.

The last change to the physical structure of the church grounds was done in 1990. The building was completed via a loan from the Endowment. Since that time, we have not been able to reach over 250 members. Right at the time we completed the Gillan building we reached approximately 275 members. The people saw the space and then filled it. Build it and they will come.

Since 1990, we have made no changes to the size of our facility. We have been stagnating in our membership, and this feeling has permeated the church from work parties to committees to volunteerism. Just the conversation about tripling our space has infused a sense excitement and hope.

Looking at our history, each time we built something our membership grew. In 1960, the sanctuary and social hall were built. In 1964, the Boag classrooms were added. In 1975, simply paving the Chalice Patio increased membership by 25 members into 1977. In 1986, we expanded the sanctuary and membership rose by 50 members. In 1989, the kitchen and Gillan classrooms were added and we reached 275 members which was our highest since 1977. Since 1994, our membership has hovered around 200 members.

At a Congregational Meeting, OCUUC members voted to proceed with the sale of 1259 Victoria Street and the purchase of 2845 Mesa Verde Drive East. The process moved very quickly. We closed escrow on the Victoria Street property on August 17th and the Mesa Verde Drive East property around August 31st.  We started packing boxes in late 2012.



PSWD NetwUUrk Newsletter Fall 2012

Orange Coast is On the Move!

Orange Coast UU Church in Costa Mesa, CA was one of the very last churches built as a Universalist church. With help from Throop Memorial a site on the mesa above the Santa Ana River was procured and a building was completed in 1961. Over the years three expansions added RE, kitchen and sanctuary space. With- out much useable ground and parking though, the congregation had essentially maximized its use. Several years ago the congregation considered a merger with the Tapestry congregation in Mission Viejo but a mutually acceptable site convenient for both congregations could not be found. However, Orange Coast came to see that a move to a larger space with better parking would be acceptable to the congregation.

Earlier this year a broker approached the church with a potential buyer of the property who would develop the site into residential properties. The broker also had a property located about three miles north of the current site that might suit the congregation’s current and future needs. The sale of the current property would fund the sale of the proposed property. The congregation visited the site and saw the possibilities of a site nearly three times as large as the current site with ample parking for Sunday mornings. It took over six months of negotiation but eventually a deal was made. In August escrow closed on both the current site and the new site.

Much work remains. The new site consists of three buildings surrounding a landscaped courtyard. One of the buildings is two stories and
will be converted to a single-story sanctuary seating approximately 230. The largest building will be converted from current office usage to a social hall/kitchen, staff offices and RE space. The third building is currently leased to tenants and will continue to be used for tenants until such time as a growing congregation needs the space. Tree-shaded parking, used in common with two other commercial buildings on the site, surrounds the entire building complex. Fortunately, the new owner of the current site is allowing the congregation to have until mid- January to make the move. This will allow time to complete a new social hall and RE space so that the congregation can begin meeting at the new location in January. Completion of the sanctuary, church offices and some revised landscaping will be completed in the spring.

It is a very exciting time for the congregation as it completes this move and at the same time is in search for a new settled minister this com- ing year. It is an excitement rooted in abundant opportunities, possibilities and fulfillment of its mission of “Seeking truth, building just communities and caring for one another."

The Move of 2013

On February 3rd we had the last regular services at our Victoria Street church.

Chalice flame window

On February 9th, volunteers moved the last remaining items from the inside of the buildings at Victoria Street. Mesa Verde's Social Hall (aka temporary Sanctuary) was outfitted with our familiar chairs, choir risers, and grand piano.  The RE classrooms were outfitted with familiar furniture, toys, and books.   Interim Minister Reverend Ed Brock, our church administrator, and our music director settled into their offices.


On February 10th, the church community walked in a sort ‘pilgrimage’  from the Victoria St. church location to the Mesa Verde location.  We turned on our new phone number, (714) 55-OCUUC.

February 14th, 2013, OC Register article by Asher Klein:

Unitarian Universalists have final service before congregation moves

Over 50 members of the Orange Coast Unitarian Universalist Church held a brief service before walking to the location of their new church on Sunday February 10. Mackenzie Reiss, Orange County Register
Over 50 members of the Orange Coast Unitarian Universalist Church
held a brief service before walking to the location of their new church on Sunday February 10.
Mackenzie Reiss, Orange County Register

During the intervening weeks, OCUUC waited for final approval to occupy our new building so several "bring your own chair" services were held at the Victoria Street building. March 3rd will be the first Sunday on which we have our first ‘regular’ two services at the Mesa Verde location.

- - -
This entry pairs a crystal structure of CsMoPbF6 with its simulated powder diffraction line list. Radiation: λ = 1.5418 Å (Cu Kα). Structure: the PBE+U geometry in Alexandria.
Kinematic intensities with the Lorentz-polarization factor, no thermal factor.

Largest 10 diffraction maxima, sorted by position, 2θ from 15° to 90°:
2θ/deg, I/Imax
22.2, 40.5
25.5, 100.0
26.0, 47.0
26.3, 28.5
26.5, 30.1
26.8, 45.5
27.5, 54.5
34.4, 21.9
41.1, 33.2
45.4, 80.8

Atomic structure:
```
CsMoPbF6
1.0
-3.9993 4.1406 5.5608
3.9993 -4.1406 5.5608
3.9993 4.1406 -5.5608
Cs Mo Pb F
2 2 2 12
direct
0.3527 0.1027 0.2500
0.6473 0.8973 0.7500
0.0000 0.0000 0.5000
0.0000 0.5000 0.0000
0.0000 0.5000 0.5000
0.5000 0.5000 0.0000
0.0457 0.3463 0.1567
0.0457 0.8890 0.6994
0.0594 0.3094 0.7500
0.3104 0.1110 0.6567
0.3104 0.6537 0.1994
0.3628 0.6128 0.7500
0.6372 0.3872 0.2500
0.6896 0.3463 0.8006
0.6896 0.8890 0.3433
0.9406 0.6906 0.2500
0.9543 0.1110 0.3006
0.9543 0.6537 0.8433
```

=====

This entry pairs a crystal structure of CsRb2MoF6 with its simulated powder diffraction line list. Radiation: λ = 1.5418 Å (Cu Kα). Structure: the PBE+U geometry in Alexandria.
Kinematic intensities with the Lorentz-polarization factor, no thermal factor.

Largest 10 diffraction maxima, sorted by position, 2θ from 15° to 90°:
2θ/deg, I/Imax
25.4, 46.6
26.3, 100.0
26.5, 97.4
26.9, 43.4
37.4, 47.3
38.0, 23.3
45.3, 21.4
46.3, 22.9
47.0, 33.5
47.5, 35.3

Atomic structure:
```
CsRb2MoF6
1.0
6.6303 0.0000 0.0000
0.0000 7.0042 0.0000
-6.5002 0.0000 9.4609
Cs Rb Mo F
2 4 2 12
direct
0.0000 0.0000 0.0000
0.0000 0.5000 0.5000
0.2261 0.0438 0.7390
0.2261 0.4562 0.2390
0.7739 0.5438 0.7610
0.7739 0.9562 0.2610
0.5000 0.0000 0.5000
0.5000 0.5000 0.0000
0.1994 0.1600 0.4636
0.1994 0.3400 0.9636
0.2671 0.7419 0.9169
0.2671 0.7581 0.4169
0.4076 0.0758 0.2971
0.4076 0.4242 0.7971
0.5924 0.5758 0.2029
0.5924 0.9242 0.7029
0.7329 0.2419 0.5831
0.7329 0.2581 0.0831
0.8006 0.6600 0.0364
0.8006 0.8400 0.5364
```

=====

This entry pairs a crystal structure of Cs2TiMoF6 with its simulated powder diffraction line list. Radiation: λ = 1.5418 Å (Cu Kα). Structure: the PBE+U geometry in Alexandria.
Kinematic intensities with the Lorentz-polarization factor, no thermal factor.

Largest 10 diffraction maxima, sorted by position, 2θ from 15° to 90°:
2θ/deg, I/Imax
28.4, 100.0
28.5, 49.4
35.0, 23.0
40.3, 19.3
40.8, 37.2
50.1, 20.3
50.4, 39.7
58.7, 23.5
59.0, 11.5
66.8, 17.6

Atomic structure:
```
Cs2TiMoF6
1.0
-3.1307 3.1307 4.4711
3.1307 -3.1307 4.4711
3.1307 3.1307 -4.4711
Cs Ti Mo F
2 1 1 6
direct
0.2500 0.7500 0.5000
0.7500 0.2500 0.5000
0.0000 0.0000 0.0000
0.5000 0.5000 0.0000
0.2402 0.2402 0.4803
0.2402 0.7598 0.0000
0.2558 0.2558 0.0000
0.7442 0.7442 0.0000
0.7598 0.2402 0.0000
0.7598 0.7598 0.5197
```

* * * * *

Entry 1:
Te2Mo3WSe2S4: calculated powder diffractogram (Cu Kα (λ = 1.5418 Å)), based on a PBE-relaxed structure.
Intensities are scaled so that the largest is 100.

a b c (Å): 3.3055 3.3055 38.6506
- - -

Mesa Verde move day
Newly Renovated Social Hall at 2845 Mesa Verde Drive East

Renovations at 2845 Mesa Verde Drive East

Courtyard 2
Courtyard in 2012


Courtyard in 2012
Courtyard in 2012
Courtyard in early 2013
Courtyard in early 2013

Settled Minister Search 2012-2013

Sian Tom
Tom Loughrey introduces Sian Wiltshire to the congregation via Skype, March 2013